Thursday, August 28, 2008

August 28

Does it have to be just one picture?? We got our puppy today!

Look at her. The girls decided to name her Pepper. There were a few I liked better, but she isn't my dog.
It took her about 5 minutes to warm up.
She started chasing the girls around it was funny. She was running around with them for about an hour
They threw her a tennis ball, and I thought she would be too small for it - she wasn't

she is exhausted now. Now they just have to tire her out again before we go to bed.

August 27

Who is that masked person??? Everyone seems to love the Monkey mask - even Aunt/Grandma Ellen. The kids had a ball with it today. Hubby even woke the twins up with it. He loves to scare the crap out of them. LOL!!

Tuesday, August 26, 2008

August 26

Isn't this pretty!!! My little candle holder that I love to put stuff in!!! I went and bought shells today. And after spending over $20 on said shells, I had a realization What kind of MORON as close to the beach as I do and goes and buys freakin shells. WTF was I thinking?? And I won't mention that I think in my candle cabinet I already have shells. Who is the biggest ass you know - YUP!!! That would be me!!!

August 25

• Next to the article, the page also holds molecular data:
/*
1.
Below is a structure of composition C3H3BeO4, with properties calculated with ωB97M-V with the def2-TZVPD basis set.

Computed properties:
Spin multiplicity = 2
E = -431.6607 hartree
LUMO energy (alpha / beta) = 0.0090 / -0.0095 Eh
Expectation value of S² = 0.75
Gap between HOMO and LUMO (alpha / beta) = 6.664 / 7.644 eV

XYZ file:
```
11
Properties=species:S:1:pos:R:3:forces:R:3:mulliken_spin:R:1
C -1.036650 -0.858920 0.590879 0.7 2.5 4.9 0.029
C -1.386805 0.302868 1.315923 -1.2 -1.7 -3.5 -0.021
O -0.944081 0.625786 2.470866 -0.3 3.8 -0.8 0.012
H -1.234618 -0.776213 -0.823526 -3.0 -2.6 1.4 -0.007
H -2.151360 0.961233 0.863870 0.2 -0.4 0.4 0.004
H -0.289454 -1.477840 1.133953 0.0 0.2 -1.2 0.026
C -1.017071 -2.610870 3.047630 0.0 -1.4 -0.1 0.094
O -1.126611 -3.743342 2.870181 0.0 0.8 0.1 0.008
O -0.877276 -1.468385 3.221661 -0.6 -2.0 1.5 -0.042
Be -0.002836 -0.109285 3.157370 2.6 -0.7 1.9 0.890
O -1.997969 -1.497923 -0.134433 1.7 1.6 -4.7 0.006
```
Positions in Å, forces in eV/Å.

---

2.
Below is a cluster of 4 separate species, C34H62BClN2O16P4S in total, with properties calculated with ωB97M-V with the def2-TZVPD basis set.

Computed properties:
Spin multiplicity = 1
SMILES string = CB(O)c1cc2c(c(Cl)c1P(N)O)N(CCOC=O)c1ccccc1S2.CCOP(=O)(OCC)OCC.CCOP(=O)(OCC)OCC.CCOP(=O)(OCC)OCC
E = -4893.9777 hartree
LUMO energy = -0.0662 Eh
Gap between HOMO and LUMO = 6.281 eV

XYZ file:
```
121
Properties=species:S:1:pos:R:3:forces:R:3:mulliken_charge:R:1
C 1.321265 -5.529995 8.552226 0.3 0.1 0.1 -0.823
B 1.780766 -4.306684 9.568381 0.4 -1.2 1.3 0.523
O 2.059117 -4.697371 10.980528 2.0 1.2 -2.8 -0.507
C 1.965115 -2.752294 9.063825 0.7 4.0 -1.1 -0.019
C 2.695670 -2.390843 7.603540 -1.4 2.9 1.9 -0.412
C 2.895691 -0.824348 7.123281 -2.1 -0.2 3.7 0.535
C 2.376488 0.394632 8.113086 -0.8 -2.9 1.4 -0.623
C 1.636227 -0.007524 9.558088 1.2 -2.5 -2.8 0.217
Cl 1.011749 1.395382 10.639826 1.1 -2.1 -1.8 -0.137
C 1.406682 -1.555348 10.047211 2.5 2.9 -4.0 -0.322
P 0.511033 -1.827021 11.730809 -0.2 -1.7 0.4 0.430
N -1.192078 -1.296559 11.397741 1.4 1.8 -0.7 -0.654
O 1.225892 -0.853843 13.004518 0.4 -0.1 -2.5 -0.485
N 2.489748 1.874771 7.827109 0.5 -2.3 -2.6 0.486
C 3.725192 2.504736 8.422564 1.1 -0.4 1.0 -0.511
C 4.860391 2.991170 7.347222 2.0 -1.0 1.4 -0.255
O 4.664431 4.338132 6.790660 -0.6 1.8 3.3 -0.288
C 4.673779 5.384098 7.823155 2.4 -0.6 4.5 0.169
O 5.308766 5.348440 8.996818 -3.8 -0.4 -7.4 -0.492
C 2.279576 2.218872 6.372113 -1.5 1.8 -3.8 -0.360
C 1.455627 3.640966 6.068922 1.0 -2.4 -3.1 -0.400
C 1.122434 4.099961 4.523798 2.0 -3.5 1.3 -0.418
C 1.589343 3.149769 3.252555 1.0 -1.1 3.6 -0.457
C 2.443095 1.736853 3.486506 -1.9 3.0 3.5 -0.464
C 2.749962 1.320739 5.075553 -1.8 2.6 0.0 0.667
S 3.674538 -0.304778 5.469516 -1.9 1.2 1.5 -0.097
H 1.511888 -6.596538 9.041289 -0.6 2.4 -1.1 0.191
H 1.991396 -5.442569 7.583459 -1.5 -0.2 1.7 0.246
H 0.193404 -5.353958 8.274873 2.2 -0.6 0.3 0.286
H 3.026569 -4.455959 11.198816 -2.4 -0.2 -0.3 0.311
*/

Where is the big ass gold chain and the horn?????

My nephew showed me the sneakers he picked out for school.
Of course I had to say - OMG are you Italian. Not to mention that they are huge. So as I was laughing about the fact that my Italian Nephew is walking around with the flag on his shoes - he points out the details....

Why yes my friends, tha is a mushroom, a slice of pepper and some pepperoni slices. I was rolling. He really likes these. Thank heavens because he is the one who will be wearing them. I had to have a picture of these.

August 20

This is really sad. Not tragic sad, but sad. My youngest Great Nephew, Devin, was born in December. This was the first time I got to see him. My SIL babysits for them every Wednesday, they only live a freakin half an hour away, 40 minutes if I decided to drive the speed limit, and this was the first time I have seen him - Mind you, it was only the 2nd time I have seen my SIL, two nephews also. See, sad. Well, we decided not to let that happen again. There is no reason she and I and the kids can't get together without the husbands and the rest of the family. So there, that said, let's hope we can pull this off!!!!

August 14

A little more catch up...

On August 14th was my brothers annual pub crawl. This is the day that everyone - well, ok, not everyone, but a lot of our friends take off and head to the city. My brother and his coworkers go in ahead of time for "research" This was the 7th year (for info in case you want to join us next year here is his web site and it was an international theme since it was an Olympic year. We had an Australian, Italian, Irish, American, Chinese and Mexican place. This was one of the better years - except it rained and it really shouldn't rain on pub crawl - but that is just my opinion!! So the Australian place was 8 Mile Creek - one of their signature cocktails was "The Flying Kangaroo" There is no Kangaroo in it of course which is why when we went in for "research", I agreed to eat Kangaroo skewers - there wasn't going to be kangaroo in it right - WRONG!! It tasted nasty so I asked the bar tender - very nice man by the way - what it was - he looked at me like I was nuts and said it was Kangaroo - So here is a picture of my Frankie and I at 8 Mile creek - not eating Kangaroo this time around, but thoroughly enjoying my Flying Kangaroo.

But I can't let this day go without mentioning the Wanted Man.

We also went to a place called Gatsby's. My cousin was talking to some guy so he was standing, I just moved in and took his seat. He of course was busting my chops, so I gave it back to him - this was our 3rd or 4th bar and since the drinking commences at my house before we even head to the train - you can imagine the shape I was in - I wanted to take a picture of the first man I have have ever annoyed the crap out of in 7 years - or at least the first one to admit it. LOL!! He wouldn't let us take his picture - I decided he was a wanted man - but I can't figure out by who with that shitty attitude. LOL

Sunday, August 24, 2008

[Quantum chemistry results that have nothing to do with the article]
# 1
Here is C7H10O as an isolated structure in a non-equilibrium geometry from OMol25. Energies are from wB97M-V/def2-TZVPD.

Output
Charge = 0
DFT total energy = -347.799562 Eh
HOMO energy (alpha / beta) = -7.98 / -7.80 eV
Kohn-Sham gap (alpha / beta) = 8.19 / 7.53 eV
E_LUMO (alpha / beta) = 0.0078 / -0.0101 Ha

XYZ file:
```
18
C7H10O | OMol25 | wB97M-V/def2-TZVPD
C 1.70780 -0.36469 -0.00777
C -0.59220 -1.48037 0.77930
C -0.46187 0.72906 1.08132
C 0.50045 -0.46793 0.84539
C -1.43255 -0.24470 0.22111
C 2.25226 0.99287 -0.29963
C -1.95194 -0.06122 -1.14281
O 2.10836 -1.46004 -0.38175
H -0.54319 -2.21298 -0.00317
H -1.03271 -1.81910 1.68152
H -0.88038 0.93489 2.12180
H -0.30900 1.60959 0.43540
H 3.08576 0.84825 -0.96287
H 2.43805 1.50990 0.62965
H 1.41343 1.51226 -0.61329
H -1.03057 0.06008 -1.79382
H -2.67489 0.80594 -1.19236
H -2.59681 -0.89181 -1.39802
```

Results of the Mulliken charge analysis, in e, for atoms 1 through 4:
1 C 0.482
2 C -0.455
3 C -0.503
4 C 0.219

# 2
Here is a 2-piece molecular cluster, C7H10O overall in a non-equilibrium geometry from OMol25. Energies are from wB97M-V/def2-TZVPD.

Output
Charge = 0
SMILES = Cc1ccccc1.O
DFT total energy = -347.940329 Eh
HOMO energy = -8.87 eV
Kohn-Sham gap = 9.82 eV
E_LUMO = 0.0350 Ha

XYZ file:
```
18
C7H10O | OMol25 | wB97M-V/def2-TZVPD
C 1.76195 2.43566 -0.74886
C 1.47564 0.94748 -0.49123
C 2.42898 0.12338 0.08942
C 2.14885 -1.25771 -0.01813
C 0.83797 -1.62666 -0.13671
C -0.22327 -0.74464 -0.39052
C 0.17625 0.54667 -0.73862
H 0.94702 2.95193 -1.26866
H 2.52941 2.56134 -1.51525
H 1.96969 2.96848 0.17180
H 3.30388 0.48993 0.61044
H 2.97499 -1.92757 0.21419
H 0.58600 -2.66621 0.07723
H -1.25697 -1.05819 -0.47015
H -0.56950 1.26503 -1.04166
O -6.18001 -0.75145 1.83685
H -6.90147 -1.30531 1.58786
H -6.37477 0.08568 1.41763
```

Results of the Mulliken charge analysis, in e, for atoms 1 through 4:
1 C -1.254
2 C 0.769
3 C -0.350
4 C -0.591

# 3
Here is a 3-piece molecular cluster, C7H10O2 overall in a non-equilibrium geometry from OMol25. Energies are from wB97M-V/def2-TZVPD.

Output
Charge = 0
DFT total energy = -422.950388 Eh
HOMO energy (alpha / beta) = -8.99 / -8.99 eV
Kohn-Sham gap (alpha / beta) = 9.15 / 9.15 eV
E_LUMO (alpha / beta) = 0.0059 / 0.0059 Ha

XYZ file:
```
19
C7H10O2 | OMol25 | wB97M-V/def2-TZVPD
C -0.25459 0.08142 -0.20183
C 2.61931 0.38337 0.31483
C 0.09280 -1.38657 -0.26865
C -0.80039 0.78168 -1.42653
C -0.11845 0.78707 0.98694
O 1.50148 0.93772 -0.32717
C -2.15640 -0.16355 0.83523
C -3.28670 -0.42750 1.19426
O 0.04379 1.32404 1.97724
H 2.57669 0.46905 1.41287
H 2.77863 -0.67704 0.06584
H 3.51126 0.93043 -0.01311
H 0.40846 -1.78102 0.69450
H -0.77847 -1.94174 -0.60541
H 0.90462 -1.49233 -0.98865
H -0.00977 0.77964 -2.17435
H -1.67520 0.24220 -1.77994
H -1.08095 1.80955 -1.21083
H -4.27609 -0.65641 1.51475
```

Results of the Mulliken charge analysis, in e, for atoms 1 through 4:
1 C 1.895
2 C -0.693
3 C -1.598
4 C -1.393

# 4

I suck!

Really!! I haven't posted since April. My lord - and it isn't like there was nothing going on all this time. In my defense my darling daughter broke my camera and I had to get a new one. But if I am being honest, that didn't take 4 months.

Let's see Just to play catch up, maybe I should post one picture from each of the last few months.

May - This is what my son and daughter in law do for fun. Work out like dogs, starve themselves and paint brown crap on themselves to stand up in front of thousands of people in their underwear. Here is my son with his GodFather, my brother the only person in the world who could love that little boy as much as I do.

JUNE - the beginning of June is all about the dance recital - this year the theme was An Enchanted Forest - as usual an excellent show. Brookie was a Big Bad Wolf and Dylynn was a Little Red Riding Hood. I loved that they were in a dance together - but they werent near each other on stage. Dylynn was also a Princess and she had a special part the big ham

JULY was all about the wedding. That picture of Brook and Anthony is probably one of my favorite. She adorers him - I wonder where she gets that from. And then of course the whole family cleaned up all nice and pretty. It was 98 degrees out there. They had to take the picture from that side of me because on the other side was a sweat mark.

OK, now I have to find something for August. That will have to be another post